Requesting Support - A Step by Step Guide

Every complaint you have is the result of a request that you have not yet made

Requests are a call for assistance and are an essential tool for human accomplishment. Our capacity to generate future possibilities is largely linked to our effectiveness in making requests.
It might come as no surprise to you, but a lot of people have a really tough time asking for support. This is often due to a variety of factors, the biggest being that they actually don’t know how!

In an effort to assist you in feeling supported, safe and confident, I would like to share with you how to effectively make requests.

+++
41
Properties=species:S:1:pos:R:3 method="wB97M-V/def2-TZVPD" e_homo_ha="-0.672 / -0.672" e_lumo_ev="-12.8623 / -12.8206" charge=+3 gap_ha="0.1993 / 0.2009" multiplicity=3 de_lowest_kcal_mol=33.6
W 1.172 -0.583 1.008
P 1.836 -0.876 -1.189
C 0.422 -1.870 -1.847
C -0.793 -1.840 -0.971
N -0.625 -1.371 0.291
C -1.673 -1.155 1.130
C -2.877 -1.773 0.869
C -3.063 -2.346 -0.383
C -2.044 -2.313 -1.319
C -1.298 -0.354 2.355
P -0.120 1.043 1.972
H -2.216 -2.669 -2.331
H -3.662 -1.786 1.624
H -4.033 -2.760 -0.641
H -2.169 0.141 2.822
H -0.875 -0.999 3.142
H 0.232 -1.466 -2.820
H 0.744 -2.919 -1.996
H -2.444 1.905 -3.167
O -2.388 2.705 -3.680
H -1.434 2.741 -3.900
H 1.378 1.219 0.742
O 1.543 2.750 -0.269
H 2.378 3.207 -0.072
C -1.222 2.301 1.311
H -2.225 2.139 1.735
H -0.824 3.290 1.581
H -1.260 2.226 0.218
C 0.472 1.688 3.546
H 1.133 2.537 3.326
H -0.391 2.022 4.139
H 1.047 0.933 4.096
C 3.138 -2.093 -1.539
H 3.099 -2.334 -2.612
H 4.115 -1.684 -1.270
H 2.992 -3.004 -0.951
C 2.189 0.676 -1.862
H 3.257 0.921 -1.813
H 1.683 0.903 -2.801
H 1.753 2.114 -1.041
I 3.048 -1.263 2.569

=====

Below is a single C6H10O molecule in a non-equilibrium geometry, with properties calculated with ωB97M-V/def2-TZVPD.

```
17
Properties=species:S:1:pos:R:3:forces:R:3:mulliken_charge:R:1
C -0.25405 -1.05772 2.76871 0.8 1.4 -1.5 -1.0561
C -0.55759 -0.62724 1.33249 1.3 3.6 -1.5 -0.0437
C -0.08670 0.45188 0.51994 -0.5 -4.0 1.0 -0.4444
C -0.77473 0.93391 -0.76929 1.0 -3.3 -1.0 -0.5002
C 0.42212 0.89444 -1.87634 -1.2 6.3 1.8 -0.6417
C 1.17425 -0.29636 -2.05481 3.0 -2.1 -1.0 0.0687
O 2.40033 -0.41480 -2.10716 -1.9 0.6 0.6 -0.4938
H 0.53279 -1.75570 2.94625 0.6 -0.7 -0.2 0.2989
H 0.05107 -0.12097 3.21442 -0.1 0.0 0.8 0.3188
H -1.16811 -1.44215 3.16125 -0.5 -0.1 0.6 0.3087
H -1.52048 -0.96288 1.08534 -1.3 -0.3 -0.8 0.2722
H 0.99773 0.69009 0.45617 -0.7 0.4 1.1 0.3109
H -1.44115 0.16329 -1.27982 0.2 0.6 1.4 0.2926
H -1.41193 1.79581 -0.54542 0.8 0.4 -0.8 0.3667
H -0.09121 1.06218 -2.84790 0.5 0.2 0.3 0.3566
H 1.13880 1.82628 -1.60004 -1.4 -2.2 -1.0 0.2624
H 0.58885 -1.14006 -2.40379 -0.5 -0.8 0.2 0.3232
```
Positions in Å, forces in eV/Å.

Summary:
* SMILES: C/C=C/CCC=O
* energy: -309.74910 hartree
* Kohn-Sham gap: 10.03 eV

Below is a molecular structure, C6H10O in a non-equilibrium geometry, with properties calculated with ωB97M-V/def2-TZVPD.

```
17
Properties=species:S:1:pos:R:3:forces:R:3:mulliken_charge:R:1
O 1.17202 -1.34082 1.63455 0.2 0.1 -0.4 -0.5086
C 1.59266 -1.09217 0.52688 0.0 -0.1 0.3 -0.0305
C 1.61244 0.29818 -0.06833 0.2 0.0 0.0 -0.5889
C 0.44042 1.10511 0.45972 -0.1 -0.3 -0.1 -0.5820
C -0.77249 0.73166 -0.38684 0.1 -1.0 -0.3 0.1788
C -0.81730 -1.20679 -0.82256 -0.8 1.6 0.5 -0.7999
C -2.03214 0.49446 0.15489 0.1 -0.8 -0.3 -0.8623
H 2.05805 -1.88130 -0.09511 -0.1 0.0 0.1 0.3858
H 2.57916 0.75589 0.16889 0.0 0.0 0.1 0.3893
H 1.53833 0.21245 -1.15746 0.2 0.0 0.2 0.3125
H 0.66251 2.18500 0.41087 -0.4 -0.3 -0.3 0.3075
H 0.27450 0.87211 1.51806 0.0 -0.1 -0.2 0.3371
+++
### Back to the text

What is a request?

A request is an action that you take when you seek the assistance of another in satisfying an underlying concern that you have.

A request invites future action by another, or others, and it involves a commitment on the part of the requester to be satisfied if the conditions if the request are met.

What is the purpose of a request?

The purpose of a request is to (effectively) ask for the assistance of someone else in performing a future action for you.

What responsibility do you have in making a request?

As the requester, it is your responsibility to be sincere in wanting that specific action to be performed. Asking someone for help is significant because you are asking that they add to their own workload, so it is important that when you do make requests, they be sincere and necessary.

Possible issues of a request:

  • Lack of sincerity in the request.
    If you ask for someone’s assistance when you don’t really need it, more often than not it leaves the other feeling as though you are taking advantage of them (think of the story of the boy who cried wolf). Be sincere when you request someone’s assistance.

  • If the conditions of the request are met and the requester is not satisfied the person fulfilling the promise may see the requester as manipulative and ungrateful, which will negatively impact their relationship.

  • Inability to frame clear requests.
    If you are unable to frame an effective and clear request, rest assured you are going to feel let down and unsatisfied.

So, how does one go about making effective requests?

There are seven elements of an effective request:

  1. Speaker

  2. Listener

  3. Shared understanding

  4. Assumed competence

  5. The speaker will be satisfied if xyz…

  6. By when (clear date and time)…

  7. Observe the mood (is it positive?)

-- These calculated molecules were left in the article by mistake --
-- begin --
Entry 1:
DFT (ωB97M-V/def2-TZVPD) results for a molecular structure, C8H32B2O8SSr in a non-equilibrium geometry.

Results
charge = -2
LUMO level = 4.3947 eV
energy relative to the best compared isomer or geometry (same formula, charge and spin) = 0.0 kcal per mole
gap between HOMO and LUMO = 5.6 eV
multiplicity = 1

Geometry as XYZ:
```
52
C8H32B2O8SSr, DFT ωB97M-V/def2-TZVPD
O 2.041 -1.132 -1.149
H -2.435 1.424 -0.810
H 4.007 -1.099 3.224
C -0.798 -2.948 -2.336
B -1.214 -2.055 1.493
H 3.119 -2.493 2.725
H 0.179 -1.384 -2.965
O 4.203 -1.883 -1.982
H -1.498 4.582 2.170
C 2.982 -1.477 3.140
O -1.857 0.874 -1.346
C -1.910 2.755 -2.896
C -1.953 1.243 -2.699
H -0.351 -1.594 2.171
C -1.135 3.693 1.640
O -1.404 1.263 1.610
C -1.910 2.494 2.145
H 0.102 -3.558 -2.476
H -2.703 -2.647 -3.354
H 1.241 -2.025 4.266
O -0.424 -1.586 -2.242
O 3.875 0.469 -1.470
H -1.348 -2.919 -4.430
H 2.776 -2.257 5.147
H -1.766 3.008 -3.946
H -1.609 0.573 2.251
H -1.289 3.819 0.572
H 2.115 -0.625 4.912
H 1.592 1.373 -1.012
H -2.953 2.595 1.814
H 0.158 2.471 -0.445
H -0.735 -2.571 0.535
H -1.881 -2.849 2.128
O 3.912 -1.162 0.333
H 2.737 -0.860 1.377
H -1.220 -3.255 -1.382
H -2.883 0.865 -3.157
C 2.231 -1.612 4.451
S 3.539 -0.903 -1.103
H -1.134 3.193 -2.266
C -1.773 -3.212 -3.466
H -2.855 3.191 -2.544
H -2.042 -4.271 -3.475
H 1.898 3.299 -0.823
O 2.180 -0.777 2.225
H -0.062 3.611 1.802
H -1.148 0.764 -3.254
Sr 0.176 -0.226 0.013
H 1.709 2.215 0.808
B 1.344 2.325 -0.349
H -1.883 2.442 3.235
H -1.945 -1.159 1.191
```

***

Entry 2:
DFT (ωB97M-V/def2-TZVPD) results for a molecular structure, H20O22Pb2S3Zn2 in a non-equilibrium geometry.

Results
charge = +2
LUMO level = -8.6295 eV
gap between HOMO and LUMO = 4.1 eV
multiplicity = 1

Geometry as XYZ:
```
49
H20O22Pb2S3Zn2, DFT ωB97M-V/def2-TZVPD
H -3.895 -2.046 1.053
O -1.831 -2.617 -2.668
Zn -3.357 0.090 -0.131
H 3.291 -0.939 0.145
H 2.181 1.710 -3.566
Pb 0.524 0.288 3.506
H 4.475 0.017 0.283
O -0.071 -0.487 1.352
H 2.278 0.254 -3.080
S 1.854 -2.847 4.342
H 1.625 -1.395 -2.044
Pb 0.217 -3.051 1.351
S 2.547 2.260 2.433
O 3.650 -0.120 -0.207
H 1.136 3.987 -1.873
O -3.355 -0.308 -2.142
H -3.233 -1.216 -2.504
H -3.515 1.579 1.998
H -2.750 -2.784 0.355
H -3.577 3.052 -0.103
O 2.822 0.953 3.037
H 0.491 3.633 -0.529
H -1.423 1.296 -3.978
O 2.796 -2.220 5.256
H -4.853 2.358 -0.595
H -1.992 -3.496 -2.306
O -3.140 -1.909 0.456
O 1.082 2.419 2.445
O 1.514 -1.923 3.205
O 0.966 0.597 -0.532
H -0.542 0.849 -2.806
O -3.200 0.682 1.814
O -0.115 -1.544 -0.726
O 2.467 1.171 -2.817
O 3.188 3.300 3.200
H 2.884 -2.257 -1.965
O -0.508 1.241 -3.687
H -3.250 0.281 -2.898
O 2.905 2.271 1.007
S -0.150 -0.212 -0.099
H -2.651 0.452 2.574
O 2.314 -1.796 -2.589
O -1.479 0.412 -0.358
O 0.619 -3.162 5.050
O -3.913 2.200 -0.415
Zn 2.529 1.747 -0.740
H -1.227 -2.181 -2.038
O 1.227 3.403 -1.109
O 2.444 -3.992 3.644
```

***
-- stop --

All of the aforementioned elements must be present in order for a request to be effective.
I strongly recommend using this as a checklist next time you want to make a request.

____________
No. 1
Below is an isolated ion of composition C3H5N2 and charge +1 at a distorted geometry, with properties calculated with wB97M-V/def2-TZVPD.

Structure (XYZ):
```
10
Properties=species:S:1:pos:R:3:lowdin_charge:R:1
C 0.854 0.505 -0.682 -0.02
C 1.215 -0.936 -0.315 0.11
C -0.414 0.003 -0.062 -0.28
N -0.014 -1.337 -0.225 0.14
N -1.047 0.492 0.940 0.24
H 1.100 1.580 -0.492 0.15
H 0.859 0.464 -1.802 0.15
H -0.326 -2.261 -0.157 0.15
H -1.526 0.004 1.715 0.18
H -0.701 1.486 1.080 0.18
```

Results
**Net charge**: +1
**Highest occupied orbital energy**: -14.4697 eV
**LUMO energy**: -4.73 eV
**DFT total energy**: -226.422475 Ha
**Gap between HOMO and LUMO**: 9.738 eV

No. 2
Below is an isolated ion of composition C3H5N2 and charge +1 at a distorted geometry, with properties calculated with wB97M-V/def2-TZVPD.

Structure (XYZ):
```
10
Properties=species:S:1:pos:R:3:lowdin_charge:R:1
C -0.939 -0.830 0.022 0.00
C 0.235 1.112 -0.270 0.13
C -0.190 0.215 0.660 -0.13
N -3.602 0.029 -0.056 0.34
N -2.564 -0.289 0.003 0.11
H -0.984 -0.799 -1.011 0.09
H -1.378 -1.714 0.456 0.13
H 0.633 2.121 -0.046 0.11
H 0.460 0.816 -1.268 0.08
H -0.294 0.258 1.761 0.14
```

Results
**Net charge**: +1
**Highest occupied orbital energy**: -16.0585 eV
**LUMO energy**: -5.45 eV
**DFT total energy**: -226.451546 Ha
**Gap between HOMO and LUMO**: 10.609 eV

No. 3
Below is a 2-piece molecular cluster, C3H5N2 overall at a distorted geometry, with properties calculated with wB97M-V/def2-TZVPD.

Structure (XYZ):
```
10
Properties=species:S:1:pos:R:3:lowdin_charge:R:1
C -0.740 -0.354 0.201 0.09
C 0.519 0.124 0.848 -0.13
C 0.370 0.084 -0.702 -0.15
N 0.811 1.266 0.014 0.14
N 1.411 -0.714 -0.007 0.21
H -1.259 -1.287 0.285 0.09
H -2.490 1.203 -0.255 0.23
H 0.166 2.051 0.071 0.13
H 2.374 -0.362 -0.113 0.20
H 1.352 -1.737 0.008 0.19
```

Results
**Net charge**: +1
**Highest occupied orbital energy (alpha / beta)**: -15.4642 / -15.5837 eV
**LUMO energy (alpha / beta)**: -6.34 / -5.17 eV
**DFT total energy**: -226.212991 Ha
**Gap between HOMO and LUMO (alpha / beta)**: 9.124 / 10.418 eV

No. 4
Below is an isolated ion of composition C3H5N2 and charge +1 at a distorted geometry, with properties calculated with wB97M-V/def2-TZVPD.

Structure (XYZ):
```
10
Properties=species:S:1:pos:R:3:lowdin_charge:R:1
C 0.796 -1.136 -0.301 0.17
C 1.717 -0.235 0.269 0.02
C -0.926 0.227 -0.330 -0.24
N 0.477 0.125 -0.534 -0.01
N -1.215 -0.968 0.269 0.27
H 1.952 -0.034 1.393 0.17
H 2.587 -0.035 -0.354 0.13
H -1.090 1.070 0.313 0.15
H -1.295 0.518 -1.458 0.22
H -1.995 -1.549 0.111 0.11
```

Results
**Net charge**: +1
**2S+1**: 3
**Highest occupied orbital energy (alpha / beta)**: -15.1819 / -16.6115 eV
**LUMO energy (alpha / beta)**: -5.38 / -8.32 eV
**DFT total energy**: -226.243616 Ha
**Gap between HOMO and LUMO (alpha / beta)**: 9.801 / 8.292 eV
**<S²>**: 2.01

No. 5
Below is a 2-piece molecular cluster, C3H5N2O overall at a distorted geometry, with properties calculated with wB97M-V/def2-TZVPD.

Structure (XYZ):
____________

Example of an ineffective request

Mom is in the kitchen and her two children are watching television.
She yells; “Will you please clean your room!”

This request in ineffective for a handful of reasons:
Firstly, mom does not have a clear listener - which child is she speaking to? Secondly, it is likely that mom and child(ren) do not have a shared understanding of what tidy means - think back to when you were a young child, ‘mom tidy’ was very different to ‘child tidy’. Thirdly, by when does mom want the child(ren) to tidy their room? If the children do not know, they are likely to let mom down. Fourthly, mom is yelling and this is not an appropriate manner nor mood in which to make a request.

Example of an effective request

Mom is in the kitchen and her two children are watching television.
Mom walks into living room, makes eye-contact with the children and says; “Angie and Michael, please will each of you pack away all the toys in your bedroom, and make sure your dirty clothes are in the laundry basket before dinner.”

As you can see, these requests are very different, and the latter is effective because it satisfies each of the seven elements of an effective request.


  • How often do you make requests in your personal/professional life?

  • How effective are your requests? What could you do to improve their effectiveness?

  • What possibilities do you shut down by the manner in which you make requests?

  • Review your current to-do list and consider what requests you will have to make in order to ensure that you are able to do what you plan to do on the list.